• Material:
____________
No. 1
Compound: TmSiRuRh
Source: Alexandria
Functional: GGA-PBE
Structure: relaxed

Structure (CIF):
```
data_TmSiRuRh
_cell_length_a 6.295
_cell_length_b 6.295
_cell_length_c 6.295
_cell_angle_alpha 90.00
_cell_angle_beta 90.00
_cell_angle_gamma 90.00
_symmetry_space_group_name_H-M 'F -4 3 m'
_symmetry_Int_Tables_number 216
_symmetry_space_group_name_Hall 'F -4 2 3'
loop_
_atom_site_label
_atom_site_type_symbol
_atom_site_fract_x
_atom_site_fract_y
_atom_site_fract_z
Tm1 Tm 0.000 0.000 0.000
Si1 Si 0.000 0.000 0.500
Ru1 Ru 0.250 0.250 0.750
Rh1 Rh 0.250 0.250 0.250
```

Results
Its total DFT energy (no corrections) is -0.2695 Ha/atom. The uncorrected formation energy is -704 meV/atom.

No. 2
Compound: TbTiGaCu
Source: Alexandria
Functional: GGA-PBE
Structure: relaxed

Structure (CIF):
```
data_TbTiGaCu
_cell_length_a 6.709
_cell_length_b 6.709
_cell_length_c 6.709
_cell_angle_alpha 90.00
_cell_angle_beta 90.00
_cell_angle_gamma 90.00
_symmetry_space_group_name_H-M 'F -4 3 m'
_symmetry_Int_Tables_number 216
_symmetry_space_group_name_Hall 'F -4 2 3'
loop_
_atom_site_label
_atom_site_type_symbol
_atom_site_fract_x
_atom_site_fract_y
_atom_site_fract_z
Tb1 Tb 0.000 0.000 0.000
Ti1 Ti 0.000 0.000 0.500
Ga1 Ga 0.250 0.250 0.250
Cu1 Cu 0.250 0.250 0.750
```

Results
The energy of formation from the pure elements is -227 meV/atom. Its total DFT energy (no corrections) is -0.1889 Ha/atom.

No. 3
Compound: ScCuS3
Source: Alexandria
Functional: GGA-PBE
Structure: relaxed

Structure (CIF):
```
data_ScCuS3
_cell_length_a 4.876
_cell_length_b 4.876
_cell_length_c 4.876
_cell_angle_alpha 90.00
_cell_angle_beta 90.00
_cell_angle_gamma 90.00
_symmetry_space_group_name_H-M 'P m -3 m'
_symmetry_Int_Tables_number 221
_symmetry_space_group_name_Hall '-P 4 2 3'
loop_
_atom_site_label
_atom_site_type_symbol
_atom_site_fract_x
_atom_site_fract_y
_atom_site_fract_z
Sc1 Sc 0.000 0.000 0.000
Cu1 Cu 0.500 0.500 0.500
S1 S 0.000 0.000 0.500
```

Results
Its total DFT energy (no corrections) is -0.1694 Ha/atom. As for the energy above the lowest structure with this stoichiometry: 1.07 eV per formula unit. The uncorrected formation energy is -48 meV/atom.

No. 4
Compound: PmNdCuHg
Source: Alexandria
Functional: GGA-PBE
Structure: relaxed

Structure (CIF):
```
data_PmNdCuHg
_cell_length_a 7.443
_cell_length_b 7.443
_cell_length_c 7.443
_cell_angle_alpha 90.00
_cell_angle_beta 90.00
_cell_angle_gamma 90.00
_symmetry_space_group_name_H-M 'F -4 3 m'
_symmetry_Int_Tables_number 216
_symmetry_space_group_name_Hall 'F -4 2 3'
loop_
_atom_site_label
_atom_site_type_symbol
_atom_site_fract_x
_atom_site_fract_y
_atom_site_fract_z
Pm1 Pm 0.000 0.000 0.000
Nd1 Nd 0.000 0.000 0.500
Cu1 Cu 0.250 0.250 0.250
Hg1 Hg 0.250 0.250 0.750
```

Results
The energy of formation from the pure elements is -283 meV/atom. Its total DFT energy (no corrections) is -0.1383 Ha/atom. As for the energy above the lowest structure with this stoichiometry: 0.08 eV per formula unit.

----------

1.
A plane-wave DFT calculation with PBE-GGA was carried out for a relaxed structure of Ga2PbSe.

Cell: 6.190 6.190 7.590 Å, 65.94 65.94 90.00°
Fractional positions:
Pb (0.000, 0.000, 0.000)
Pb (0.750, 0.250, 0.500)
Ga (0.610, 0.125, 0.250)
Ga (0.140, 0.625, 0.250)
Ga (0.375, 0.390, 0.750)
Ga (0.875, 0.860, 0.750)
Se (0.500, 0.500, 0.000)
Se (0.250, 0.750, 0.500)

Computed properties:
Size of the total moment (μB per cell): 0.00
Energy above the lowest structure with this stoichiometry (meV/atom): 0.0
Density of states at the Fermi level (states/eV/cell): 0.0
Symmetry: I-42d, No. 122
Calculated density (g/cm3): 5.95
ΔE_f (raw) (meV per atom): -118


2.
A plane-wave DFT calculation with PBE-GGA was carried out for a relaxed structure of InTcAu2Cl.

Cell: 4.823 5.575 4.823 Å, 90.00 90.00 90.00°
Fractional positions:
Cl (0.000, 0.000, 0.000)
Au (0.000, 0.000, 0.500)
Au (0.500, 0.000, 0.000)
Tc (0.500, 0.500, 0.500)
In (0.000, 0.500, 0.000)

Computed properties:
____________
• Work order:
Set down the entries further up from the first line to the one with "InTcAu2Cl." character by character, please.
• Solution:
No. 1
Compound: TmSiRuRh
Source: Alexandria
Functional: GGA-PBE
Structure: relaxed

Structure (CIF):
```
data_TmSiRuRh
_cell_length_a 6.295
_cell_length_b 6.295
_cell_length_c 6.295
_cell_angle_alpha 90.00
_cell_angle_beta 90.00
_cell_angle_gamma 90.00
_symmetry_space_group_name_H-M 'F -4 3 m'
_symmetry_Int_Tables_number 216
_symmetry_space_group_name_Hall 'F -4 2 3'
loop_
_atom_site_label
_atom_site_type_symbol
_atom_site_fract_x
_atom_site_fract_y
_atom_site_fract_z
Tm1 Tm 0.000 0.000 0.000
Si1 Si 0.000 0.000 0.500
Ru1 Ru 0.250 0.250 0.750
Rh1 Rh 0.250 0.250 0.250
```

Results
Its total DFT energy (no corrections) is -0.2695 Ha/atom. The uncorrected formation energy is -704 meV/atom.

No. 2
Compound: TbTiGaCu
Source: Alexandria
Functional: GGA-PBE
Structure: relaxed

Structure (CIF):
```
data_TbTiGaCu
_cell_length_a 6.709
_cell_length_b 6.709
_cell_length_c 6.709
_cell_angle_alpha 90.00
_cell_angle_beta 90.00
_cell_angle_gamma 90.00
_symmetry_space_group_name_H-M 'F -4 3 m'
_symmetry_Int_Tables_number 216
_symmetry_space_group_name_Hall 'F -4 2 3'
loop_
_atom_site_label
_atom_site_type_symbol
_atom_site_fract_x
_atom_site_fract_y
_atom_site_fract_z
Tb1 Tb 0.000 0.000 0.000
Ti1 Ti 0.000 0.000 0.500
Ga1 Ga 0.250 0.250 0.250
Cu1 Cu 0.250 0.250 0.750
```

Results
The energy of formation from the pure elements is -227 meV/atom. Its total DFT energy (no corrections) is -0.1889 Ha/atom.

No. 3
Compound: ScCuS3
Source: Alexandria
Functional: GGA-PBE
Structure: relaxed

Structure (CIF):
```
data_ScCuS3
_cell_length_a 4.876
_cell_length_b 4.876
_cell_length_c 4.876
_cell_angle_alpha 90.00
_cell_angle_beta 90.00
_cell_angle_gamma 90.00
_symmetry_space_group_name_H-M 'P m -3 m'
_symmetry_Int_Tables_number 221
_symmetry_space_group_name_Hall '-P 4 2 3'
loop_
_atom_site_label
_atom_site_type_symbol
_atom_site_fract_x
_atom_site_fract_y
_atom_site_fract_z
Sc1 Sc 0.000 0.000 0.000
Cu1 Cu 0.500 0.500 0.500
S1 S 0.000 0.000 0.500
```

Results
Its total DFT energy (no corrections) is -0.1694 Ha/atom. As for the energy above the lowest structure with this stoichiometry: 1.07 eV per formula unit. The uncorrected formation energy is -48 meV/atom.

No. 4
Compound: PmNdCuHg
Source: Alexandria
Functional: GGA-PBE
Structure: relaxed

Structure (CIF):
```
data_PmNdCuHg
_cell_length_a 7.443
_cell_length_b 7.443
_cell_length_c 7.443
_cell_angle_alpha 90.00
_cell_angle_beta 90.00
_cell_angle_gamma 90.00
_symmetry_space_group_name_H-M 'F -4 3 m'
_symmetry_Int_Tables_number 216
_symmetry_space_group_name_Hall 'F -4 2 3'
loop_
_atom_site_label
_atom_site_type_symbol
_atom_site_fract_x
_atom_site_fract_y
_atom_site_fract_z
Pm1 Pm 0.000 0.000 0.000
Nd1 Nd 0.000 0.000 0.500
Cu1 Cu 0.250 0.250 0.250
Hg1 Hg 0.250 0.250 0.750
```

Results
The energy of formation from the pure elements is -283 meV/atom. Its total DFT energy (no corrections) is -0.1383 Ha/atom. As for the energy above the lowest structure with this stoichiometry: 0.08 eV per formula unit.

----------

1.
A plane-wave DFT calculation with PBE-GGA was carried out for a relaxed structure of Ga2PbSe.

Cell: 6.190 6.190 7.590 Å, 65.94 65.94 90.00°
Fractional positions:
Pb (0.000, 0.000, 0.000)
Pb (0.750, 0.250, 0.500)
Ga (0.610, 0.125, 0.250)
Ga (0.140, 0.625, 0.250)
Ga (0.375, 0.390, 0.750)
Ga (0.875, 0.860, 0.750)
Se (0.500, 0.500, 0.000)
Se (0.250, 0.750, 0.500)

Computed properties:
Size of the total moment (μB per cell): 0.00
Energy above the lowest structure with this stoichiometry (meV/atom): 0.0
Density of states at the Fermi level (states/eV/cell): 0.0
Symmetry: I-42d, No. 122
Calculated density (g/cm3): 5.95
ΔE_f (raw) (meV per atom): -118


2.
A plane-wave DFT calculation with PBE-GGA was carried out for a relaxed structure of InTcAu2Cl.